• Source:
<<<
This entry pairs a crystal structure of Sc2Ga4NiPd with its theoretical X-ray powder pattern. Radiation: Cu Kα. Structure: a crystal structure in OQMD, relaxed with GGA-PBE.

Main lines, by angle (2θ = 10–90°):
- 2θ = 18.23°, 4.866 Å, rel. 26, hkl 0 0 2
- 2θ = 22.79°, 3.902 Å, rel. 24, hkl 1 0 2
- 2θ = 36.18°, 2.483 Å, rel. 100, hkl 2 1 1
- 2θ = 37.78°, 2.381 Å, rel. 69, hkl 1 1 3
- 2θ = 39.53°, 2.280 Å, rel. 30, hkl 1 0 4
- 2θ = 43.57°, 2.077 Å, rel. 53, hkl 0 2 0
- 2θ = 45.03°, 2.013 Å, rel. 62, hkl 2 1 3
- 2θ = 46.55°, 1.951 Å, rel. 22, hkl 2 0 4
- 2θ = 48.09°, 1.892 Å, rel. 45, hkl 3 1 1
- 2θ = 71.57°, 1.318 Å, rel. 19, hkl 0 1 7

Structure:
abc: 6.5326 4.1544 9.7319
angles: 90.00 90.00 90.00
Element x y z (fractional)
Sc (0.0000, 0.0000, 0.0000)
Sc (0.0000, 0.5000, 0.5000)
Sc (0.5000, 0.0000, 0.1562)
Sc (0.5000, 0.5000, 0.6562)
Ga (0.1938, 0.0000, 0.7091)
Ga (0.1938, 0.5000, 0.2091)
Ga (0.2904, 0.0000, 0.4431)
Ga (0.2904, 0.5000, 0.9431)
Ga (0.7096, 0.0000, 0.4431)
Ga (0.7096, 0.5000, 0.9431)
Ga (0.8062, 0.0000, 0.7091)
Ga (0.8062, 0.5000, 0.2091)
Ni (0.0000, 0.0000, 0.2813)
Ni (0.0000, 0.5000, 0.7813)
Pd (0.5000, 0.0000, 0.8717)
Pd (0.5000, 0.5000, 0.3717)

* * * * *

The following is a theoretical powder diffractogram of Cs2CdP2O7. It was derived from the GGA-PBE geometry in OQMD, using Cu Ka.

abc: 16.077 5.506 9.948
angles: 90.00 90.00 90.00
Atoms (fractional coordinates):
Cs 0.080 0.250 0.147
Cs 0.108 0.750 0.536
Cs 0.392 0.250 0.036
Cs 0.420 0.750 0.647
Cs 0.580 0.250 0.353
Cs 0.608 0.750 0.964
Cs 0.892 0.250 0.464
Cs 0.920 0.750 0.853
Cd 0.189 0.750 0.892
Cd 0.311 0.250 0.392
Cd 0.689 0.750 0.608
Cd 0.811 0.250 0.108
P 0.086 0.250 0.764
P 0.231 0.750 0.235
P 0.269 0.250 0.735
P 0.414 0.750 0.264
P 0.586 0.250 0.736
P 0.731 0.750 0.265
P 0.769 0.250 0.765
P 0.914 0.750 0.236
O 0.020 0.250 0.655
O 0.087 0.019 0.850
O 0.087 0.481 0.850
O 0.174 0.250 0.676
O 0.176 0.750 0.110
O 0.218 0.520 0.319
O 0.218 0.980 0.319
O 0.282 0.020 0.819
O 0.282 0.480 0.819
O 0.324 0.250 0.610
O 0.326 0.750 0.176
O 0.413 0.519 0.350
O 0.413 0.981 0.350
O 0.480 0.750 0.155
O 0.520 0.250 0.845
O 0.587 0.019 0.650
O 0.587 0.481 0.650
O 0.674 0.250 0.824
O 0.676 0.750 0.390
O 0.718 0.520 0.181
O 0.718 0.980 0.181
O 0.782 0.020 0.681
O 0.782 0.480 0.681
O 0.824 0.250 0.890
O 0.826 0.750 0.324
O 0.913 0.519 0.150
O 0.913 0.981 0.150
O 0.980 0.750 0.345

Peak list (10 most intense, 10° ≤ 2θ ≤ 80°, low angle first)
2theta  I_rel
24.4  38
24.7  24
24.9  100
26.6  58
27.5  72
31.5  38
32.5  40
41.1  23
43.7  27
46.0  18



The following is a theoretical powder diffractogram of Cs4CdSi2O7. It was derived from the GGA-PBE geometry in OQMD, using Cu Ka.

abc: 6.568 7.190 7.390
angles: 112.40 101.82 105.80
Atoms (fractional coordinates):
Cs 0.085 0.048 0.287
Cs 0.323 0.590 0.231
Cs 0.677 0.410 0.769
Cs 0.915 0.952 0.713
Cd 0.500 0.000 0.000
Si 0.206 0.570 0.717
Si 0.794 0.430 0.283
O 0.000 0.500 0.500
O 0.164 0.748 0.914
O 0.202 0.353 0.736
O 0.449 0.713 0.710
O 0.551 0.287 0.290
O 0.798 0.647 0.264
O 0.836 0.252 0.086

Peak list (10 most intense, 10° ≤ 2θ ≤ 80°, low angle first)
2theta  I_rel
23.7  49
25.8  33
26.4  30
26.8  73
27.1  26
27.9  100
29.1  29
32.5  50
33.8  29
34.4  52



The following is a theoretical powder diffractogram of Cs2Rb2CdP2. It was derived from the GGA-PBE geometry in OQMD, using Cu Ka.

abc: 10.142 10.142 10.142
angles: 34.56 34.56 34.56
Atoms (fractional coordinates):
Cs 0.208 0.208 0.208
Cs 0.792 0.792 0.792
Rb 0.389 0.389 0.389
Rb 0.611 0.611 0.611
Cd 0.000 0.000 0.000
P 0.085 0.085 0.085
P 0.915 0.915 0.915

Peak list (10 most intense, 10° ≤ 2θ ≤ 80°, low angle first)
2theta  I_rel
23.1  100
27.7  13
29.7  89
35.8  37
37.9  27
47.2  17
48.9  26
52.6  17
56.7  19
66.6  14

* * * * *

The following is a computed PXRD pattern of Na3CaTaSi2SO12. It was derived from a crystal structure in the Materials Project, relaxed with PBE, using a wavelength of 1.5418 Å.
Lines closer than 0.1° are merged.

```
data_Na3CaTaSi2SO12
>>>

• Assignment:
Next, write out the listing further up from the line with "0.913 0.519" to the end with every line break kept.

• Here it is:
O 0.913 0.519 0.150
O 0.913 0.981 0.150
O 0.980 0.750 0.345

Peak list (10 most intense, 10° ≤ 2θ ≤ 80°, low angle first)
2theta  I_rel
24.4  38
24.7  24
24.9  100
26.6  58
27.5  72
31.5  38
32.5  40
41.1  23
43.7  27
46.0  18



The following is a theoretical powder diffractogram of Cs4CdSi2O7. It was derived from the GGA-PBE geometry in OQMD, using Cu Ka.

abc: 6.568 7.190 7.390
angles: 112.40 101.82 105.80
Atoms (fractional coordinates):
Cs 0.085 0.048 0.287
Cs 0.323 0.590 0.231
Cs 0.677 0.410 0.769
Cs 0.915 0.952 0.713
Cd 0.500 0.000 0.000
Si 0.206 0.570 0.717
Si 0.794 0.430 0.283
O 0.000 0.500 0.500
O 0.164 0.748 0.914
O 0.202 0.353 0.736
O 0.449 0.713 0.710
O 0.551 0.287 0.290
O 0.798 0.647 0.264
O 0.836 0.252 0.086

Peak list (10 most intense, 10° ≤ 2θ ≤ 80°, low angle first)
2theta  I_rel
23.7  49
25.8  33
26.4  30
26.8  73
27.1  26
27.9  100
29.1  29
32.5  50
33.8  29
34.4  52



The following is a theoretical powder diffractogram of Cs2Rb2CdP2. It was derived from the GGA-PBE geometry in OQMD, using Cu Ka.

abc: 10.142 10.142 10.142
angles: 34.56 34.56 34.56
Atoms (fractional coordinates):
Cs 0.208 0.208 0.208
Cs 0.792 0.792 0.792
Rb 0.389 0.389 0.389
Rb 0.611 0.611 0.611
Cd 0.000 0.000 0.000
P 0.085 0.085 0.085
P 0.915 0.915 0.915

Peak list (10 most intense, 10° ≤ 2θ ≤ 80°, low angle first)
2theta  I_rel
23.1  100
27.7  13
29.7  89
35.8  37
37.9  27
47.2  17
48.9  26
52.6  17
56.7  19
66.6  14

* * * * *

The following is a computed PXRD pattern of Na3CaTaSi2SO12. It was derived from a crystal structure in the Materials Project, relaxed with PBE, using a wavelength of 1.5418 Å.
Lines closer than 0.1° are merged.

```
data_Na3CaTaSi2SO12